Top 10 Ways to Start Learning English

wants to finally learn English the fast

fun and easy way in this video I’ll show

you the top 10 ways to get started so

let’s begin number 1 take your very

first lesson access any audio or video

lesson on English class

and just press the play button to get

started don’t have an account don’t

worry just go to the signup page to

create an account it takes less than 30

seconds and it’s free we have thousands

of audio and video lessons covering a

variety of topics like grammar

# Inserted here: data records
=====
Entry 1:
17
Properties=species:S:1:pos:R:3:forces:R:3 method="wB97M-V/def2-TZVPD" lumo_ev="-3.23 / -7.98" e_above_lowest_kcal_mol=7.8 energy_ha=-611.61593 multiplicity=2 total_charge=+1
C -0.0295 2.6785 0.5931 0.4 -0.2 -0.1
C -0.5555 1.2586 0.4756 0.5 -0.8 0.3
S 0.8112 0.1295 0.8528 0.0 0.2 0.1
H 0.3404 2.8343 1.5888 0.0 0.2 0.6
H -0.8205 3.4024 0.4145 0.1 0.0 -0.3
H 0.8488 2.8077 -0.0438 -0.4 0.3 -0.3
H -0.9442 0.9382 -0.4837 -0.2 0.3 -0.2
H -1.2771 1.0112 1.2590 -0.2 0.1 0.0
C -1.4346 -1.8115 -0.7938 0.0 0.0 0.0
C 0.8503 -1.2162 -0.4726 0.3 -0.5 0.0
N -0.1837 -1.3290 -1.3878 -0.6 0.7 0.3
H -2.2099 -1.9915 -1.5317 0.1 0.2 -0.3
H -1.8305 -1.1135 -0.0455 0.0 -0.2 0.1
H -1.2235 -2.7706 -0.3372 0.0 -0.1 0.3
H 0.9377 -2.0916 0.1625 -0.1 -0.3 0.1
H 1.8229 -1.1016 -0.9434 0.3 0.4 0.0
H -0.3102 -0.4412 -1.8598 0.0 -0.3 -0.6

Entry 2:
36
Properties=species:S:1:pos:R:3:forces:R:3 method="wB97M-V/def2-TZVPD" lumo_ev=0.25 e_above_lowest_kcal_mol=97.2 energy_ha=-1338.79447
C -0.9986 -1.0259 3.5457 0.7 1.4 -1.7
N -0.2018 -0.5244 2.3920 1.7 -0.2 -0.6
C 0.4643 0.8170 2.3092 -2.1 -0.7 -2.3
C -0.7157 1.7634 2.2385 -0.6 -1.1 -1.7
C -1.5298 1.3908 1.0077 4.1 0.2 -1.6
C -2.7880 1.2905 0.6617 0.1 0.0 -1.7
N -2.8385 1.0408 -0.7500 -4.2 -0.2 -0.6
C -1.6260 0.9370 -1.3180 1.3 -0.4 -1.4
C -1.1518 0.5737 -2.6306 1.0 0.4 0.9
Cl -2.2680 0.3687 -3.9979 0.7 0.0 1.0
C 0.2867 0.4738 -2.7640 -2.7 -0.6 0.9
C 1.0806 0.6581 -1.6468 1.8 0.2 1.6
C 0.6244 0.8648 -0.2911 -1.2 0.6 -2.6
C -0.7301 1.1510 -0.2742 0.1 -0.7 3.1
C 1.3916 0.9613 1.0209 1.0 -2.9 -1.2
C 2.4906 -0.1502 0.9349 1.1 1.0 0.5
C 3.6587 0.4523 0.5728 -1.0 -4.3 -1.2
C 4.9237 -0.1906 -0.0177 -0.4 -1.4 0.2
C 3.4447 1.8275 0.4754 3.4 3.8 0.9
O 4.4128 2.6138 0.3130 -3.8 -1.2 0.0
O 2.1661 2.1352 0.8287 0.4 1.7 0.8
H -1.4191 -0.2599 4.2048 0.1 0.1 -0.2
H -0.3647 -1.6702 4.0880 0.5 -0.8 1.0
H -1.8040 -1.5847 3.1112 -0.5 -0.4 0.0
H -0.5301 -0.8008 1.4700 -0.2 0.1 0.6
H 1.0613 0.9966 3.1308 1.3 0.3 1.9
H -1.2804 1.6249 3.1074 -1.0 0.0 1.4
H -0.4488 2.7619 2.1632 0.6 2.1 -0.1
H -3.5357 1.4863 1.3767 -1.6 -0.1 -0.2
H -3.6958 0.8489 -1.3253 1.2 0.4 1.3
H 0.8147 -0.0621 -3.5530 -0.6 0.9 -0.6
H 2.1492 0.6770 -1.9388 -0.5 -0.5 0.9
H 2.3937 -1.2126 1.1951 -0.4 0.6 -0.4
H 5.4046 0.4956 -0.7483 0.0 -0.2 1.1
H 4.6272 -1.0855 -0.6700 0.2 1.0 1.2
H 5.5823 -0.5934 0.8284 -0.5 0.8 -1.5

Entry 3:
25
Properties=species:S:1:pos:R:3:forces:R:3 method="wB97M-V/def2-TZVPD" lumo_ev=0.58 e_above_lowest_kcal_mol=0.0 energy_ha=-1836.01837
C -2.6192 -2.0775 -1.6138 -3.6 1.8 1.6
C -2.7346 -1.4102 -0.1911 3.3 -6.1 0.5
O -1.5852 -0.6704 0.1933 -1.0 1.4 -1.0
C -1.9617 0.5503 0.6821 -0.4 0.6 1.6
O -3.1050 0.8918 0.8540 -0.5 -0.2 -0.6
C -0.8809 1.3484 1.1446 1.4 -0.5 0.0
C 0.3808 0.9426 0.9366 2.0 0.1 -0.9
O 1.3399 1.7897 1.3045 0.0 0.9 0.7
C 2.7318 1.8333 0.9063 -1.9 0.4 -2.4
C 2.9580 1.6978 -0.6503 -0.4 2.9 2.1
O 0.9019 -0.1556 0.3156 0.2 0.4 0.2
P 0.7572 -1.6082 -0.4384 0.3 1.0 -0.1
Cl 2.8391 -1.9725 -0.6096 -0.5 0.2 0.0
=====
# The data records stop here

pronunciation listening and reading just

click on the play button on any lesson

and start learning number to read along

with the lesson you can read along with

the lesson notes or lesson transcript

these come with every lesson the lesson

notes provide you with a dialogue for

the scene taught in the lesson along

with translations a more in-depth

explanation of the grammar and culture

and even vocab and sample sentences the

lesson transcript is the full

word-for-word transcript of everything

you hear in the lesson and the dialogue

study tool provides you with the audio

(Calculated molecules from another source follow)
-- begin --
[1]
-- stop --

for the lesson dialogue along with the

translations number three shadowing

shadowing is a tested learning technique

where you repeat what you hear this is a

great way to start speaking in minutes

and practice speaking in general if

you’re listening along with the lesson

**Someone pasted data records at this point**
[1]
{"formula": "C6H15O3P", "method": "ωB97M-V/def2-TZVPD", "smiles": "CCOC(OCC)[P@H](C)=O", "total_charge": 0, "relative_energy_ev": 2.4129, "orbital_gap_ev": 10.39, "lumo_ev": 0.851, "species": ["C", "C", "O", "C", "O", "C", "C", "P", "C", "O", "H", "H", "H", "H", "H", "H", "H", "H", "H", "H", "H", "H", "H", "H", "H"], "coordinates": [[-2.2224, 1.8773, 1.1459], [-2.0070, 0.7942, 0.1211], [-0.6530, 0.5700, -0.0125], [-0.0707, -0.5819, -0.5018], [0.4906, -0.3419, -1.7766], [1.8443, 0.3921, -1.7655], [2.9904, -0.5943, -1.5682], [0.8554, -1.2029, 0.9551], [-0.4216, -2.0382, 1.9615], [1.6535, -0.2274, 1.6566], [-1.7617, 1.4863, 2.0160], [-1.6779, 2.7162, 0.6823], [-3.2560, 2.1723, 1.1351], [-2.3170, 1.1755, -0.9356], [-2.5532, -0.2639, 0.1878], [-0.7932, -1.3808, -0.8076], [1.7219, 1.1409, -2.6458], [1.8180, 0.8511, -0.8040], [3.9654, -0.1913, -2.0697], [3.0858, -0.6985, -0.5827], [2.8336, -1.5821, -1.8722], [1.6334, -2.2936, 0.4109], [-1.2703, -1.5165, 2.3675], [-0.8410, -2.9106, 1.3451], [0.0005, -2.2673, 3.0291]], "forces_ev_per_a": [[0.446, -0.260, -2.261], [-2.357, -1.776, -3.703], [1.699, 0.436, 1.257], [-1.091, -0.609, -1.973], [2.098, 0.301, 0.451], [-2.608, -0.572, -0.573], [1.397, 2.338, -4.591], [-0.827, -1.918, -0.790], [0.286, -1.515, 1.034], [1.463, 1.658, 1.152], [0.025, 0.405, 1.399], [0.082, -0.095, 0.816], [-0.479, -0.113, 0.714], [-0.163, -0.459, 1.619], [0.763, 2.201, 0.560], [-0.093, 0.460, 0.740], [0.835, -1.604, 1.528], [-0.092, 1.531, 0.267], [-1.637, -0.774, 1.113], [1.084, 0.008, 4.094], [-0.533, -1.362, -1.378], [-0.583, 0.277, 0.314], [-0.517, 1.098, -0.813], [0.816, 0.834, 1.316], [-0.016, -0.490, -2.292]]}

=====

[2]

audio or dialogue be sure to shadow

along the way number four use the

dialogue study tool to master the

conversation here you get the line by

line breakdown of the conversation

demonstrated in the lesson listen and

repeat until you’ve mastered each line

do this until you’ve mastered the entire

conversation number five use the voice

recorder to perfect your pronunciation

and speaking in the dialogue study tool

you’ll find a microphone icon next to

each line click on it to record your

voice then compare it with the native


listen and adjust your pronunciation

until you match that of the native

speaker number six review a vocab with

the lesson vocabulary list vocabulary

words are the building blocks of

language you can say vocab words top in

each lesson by clicking on add to word

Bank want to drill the words with smart

flashcards instead just click on add to

flashcard deck to do so number seven

listen to the review track if you’ve

studied an audio lesson before just

listen to the review track so that you

don’t have to listen through the entire

lesson again this is a great way to

reinforce the material that you’ve

learned and it’s great to have on the go

just access any audio lesson and click

on the download icon then click review

to download the review track number

eight review with quizzes after the

lesson once you’re confident enough with

the material taught in the lesson be

sure to take the quiz to test your

newfound knowledge take the review

questions and answer true or false for

each one or take the writing questions

and input your answer remember to check

the answers by clicking on the check

answers button number nine participate

and leave a comment the best way to

master what you’ve learned is to use it

join the community of learners by

leaving a comment below at the end of

every lesson our dedicated teachers will

check your responses to correct you on

any mistakes or provide you with helpful

study tips and advice and finally number

10 move on to the next lesson done with

a lesson mark the lesson as complete you

can see your overall learning progress

on your dashboard if you particularly

enjoy the lesson mark the lesson as

favorite so that you can come back to it

later at any time click on the forward

arrow to move on to the next lesson and

continue learning if you enjoyed these

tips hit the like button share it with

anyone who’s trying to learn English and

subscribe to our Channel we release new

videos every week remember you can sign

up to English class

by clicking on the link in the


sign up takes less than 30 seconds and

it’s free I’ll see you next time bye


